Balazs Torok, Petrol Station Key Account Manager at GE Lighting EMEA, shares some of his insights on how to brighten up petrol stations with proper lighting.
[Attached: records of molecules]
No. 1
63
Properties=species:S:1:pos:R:3:forces:R:3:nbo_charge:R:1 method="wB97M-V/def2-TZVPD" multiplicity=1 smiles="C#CCBCCC(F)(F)C(F)(F)C(F)(F)C(F)(F)C(F)(F)C(F)(F)F.CC(C)=O.CC(C)=O.CC(C)=O"
C 3.36606 0.21648 2.76506 -1.81 -1.89 -1.57 -0.275
C 2.77466 -0.58713 2.05273 1.44 1.42 1.94 0.015
C 2.10997 -1.66371 1.33234 -0.40 0.79 -0.08 -0.850
B 0.57221 -1.73241 1.76121 0.29 0.00 -0.57 0.767
C -0.53742 -1.63307 0.64691 0.39 0.21 1.16 -0.817
C -1.77898 -0.81206 1.04537 0.16 -0.50 -1.10 -0.465
C -1.88133 0.52573 0.34492 -0.35 -0.75 1.68 0.639
F -3.19791 0.82090 0.29202 -0.75 0.50 -0.19 -0.329
F -1.47579 0.47746 -0.92429 0.60 0.10 -0.87 -0.326
C -1.19416 1.69133 1.13336 -0.79 0.46 -1.52 0.580
F -0.43656 1.26520 2.12306 1.13 -0.64 0.61 -0.297
F -2.16138 2.41619 1.69596 -0.75 0.56 0.47 -0.302
C -0.42100 2.71267 0.25271 0.55 -0.55 0.81 0.587
F -0.16203 3.74495 1.05394 0.34 0.78 0.52 -0.298
F -1.20858 3.17026 -0.70220 -0.60 0.00 -0.99 -0.293
C 0.95781 2.18155 -0.26644 -0.47 -0.28 -0.30 0.580
F 1.03758 0.85763 -0.09970 -0.28 -1.07 -0.06 -0.314
F 1.89967 2.69264 0.49261 1.01 0.91 0.50 -0.281
C 1.25212 2.45401 -1.74661 0.30 0.18 0.40 0.556
F 0.32334 1.92182 -2.51376 -0.92 -0.77 -0.60 -0.287
F 1.20143 3.77305 -1.93500 0.41 0.97 0.05 -0.304
C 2.61304 1.89965 -2.26042 -0.84 1.00 -0.71 0.924
F 3.60527 2.12628 -1.45197 0.87 -0.14 1.04 -0.286
F 2.49348 0.63176 -2.55281 0.12 -1.27 0.26 -0.292
F 2.87647 2.53510 -3.39606 0.12 0.46 -0.78 -0.310
H 3.63915 0.87874 3.53421 0.43 0.47 0.17 0.230
H 2.62803 -2.59074 1.54614 0.07 -0.28 -0.09 0.267
H 2.15851 -1.42177 0.27293 0.15 -0.42 -0.23 0.243
H 0.30844 -1.83273 2.92064 -0.10 -0.06 0.02 -0.096
H -0.86182 -2.66202 0.48178 -0.02 -0.16 0.01 0.279
H -0.08203 -1.31383 -0.28514 -0.21 0.04 -0.20 0.236
H -2.65187 -1.36684 0.70871 0.05 0.32 -0.01 0.269
H -1.90056 -0.70184 2.11600 0.12 0.18 0.19 0.230
C 1.75438 7.05782 -0.27048 0.21 0.06 0.15 -0.722
C 2.39892 8.07677 -1.17856 0.09 0.04 0.04 0.595
O 3.42093 8.64396 -0.87002 -0.05 -0.02 -0.02 -0.541
C 1.70757 8.35509 -2.49217 0.20 0.16 -0.03 -0.721
H 2.34883 6.95249 0.63450 0.01 0.02 -0.01 0.236
H 0.74945 7.38358 0.00284 -0.07 -0.12 -0.11 0.229
H 1.70084 6.09027 -0.77182 -0.17 0.02 -0.03 0.231
H 0.70037 8.73380 -2.31136 -0.06 -0.15 -0.04 0.228
H 1.65179 7.44109 -3.08573 -0.16 -0.02 0.04 0.229
H 2.27191 9.10232 -3.04593 0.01 -0.01 0.02 0.234
C 0.77988 -6.04903 -1.39439 -0.12 0.24 -0.05 -0.721
C 1.40747 -5.21805 -0.30285 -0.01 0.06 0.00 0.608
O 1.12324 -4.05061 -0.15637 0.01 -0.19 -0.04 -0.555
C 2.40426 -5.90701 0.59664 -0.02 0.25 0.10 -0.721
H 0.08656 -5.43349 -1.96371 0.02 0.01 0.02 0.236
H 1.55155 -6.42729 -2.06650 -0.01 -0.15 0.07 0.233
H 0.23422 -6.88708 -0.95793 0.13 -0.10 -0.04 0.230
H 3.24360 -6.27893 0.00730 -0.06 -0.15 0.01 0.233
H 1.92618 -6.73927 1.11537 0.07 -0.11 -0.10 0.232
H 2.77765 -5.19994 1.33441 -0.01 0.00 -0.01 0.234
C -5.09874 -4.77803 1.74733 0.20 0.09 0.17 -0.721
C -4.47998 -3.72372 0.86435 0.06 0.03 0.04 0.610
O -3.50112 -3.10171 1.21366 -0.27 -0.47 0.01 -0.558
Commuting is on the rise. More and more people are living outside of the cities in which they work. Traffic jams are the norm. The recent reductions in oil prices and the limitations of public transport mean that the car is increasingly attractive as an option. For petrol stations, surely this is good news?
Well not necessarily. As the number of motorists increases so does the competition to win those potential customers. But when prices are similar, how can a petrol station stand out from the competition? How does a driver choose between petrol station ‘A’ or ‘B’?
The factors involved in that decision have changed: visibility, brand loyalty, security and service are the new triggers that attract customers to petrol stations. And lighting has an impact on all four of them.
(Photo Credit: GE Lighting) |
Visibility: This is the first and most obvious issue – poorly lit petrol stations are simply less noticeable. Especially away from urban areas, where they can be a beacon on unlit roads if they have the right lighting. LED provides high intensity with a very low consumption and maintenance, reducing the cost of keeping the station lit for so many hours.
Brand Loyalty: Once the attention of the motorist is captured, the next question is which brand to choose. While each driver will have their individual preferences, basic presentation and illumination can have a significant impact. LED lighting can greatly improve the appearance of totem pole branding as well as side canopy homogeneous illumination. If the totem pole illumination is poor or defective, drivers will psychologically link this to the quality of the station’s overall service.
Security: The next consideration is the main canopy lighting. The uniformity and brightness that LED lighting brings is a major advantage, particularly because drivers associate light with security. In the first place they allow drivers to react quickly in case of an unexpected event. Also, well-lit stations can help drivers feel safe and are more likely to discourage any criminal activity. What’s more, health and safety rules are very strict in petrol companies, which have to make mandatory annual accident reports, and anything that can reduce those numbers is welcome.
Service: Inside the station itself, the retail lighting plays a significant role as well. Oil companies have smaller margins on fuel sales because prices have fallen while operating costs have remained the same. The petrol station shop can help to fill this revenue gap. Did you know that on average, there are more than 6,000 different items for sale in a petrol station? It’s estimated that more than 95 percent of customers make spontaneous buying decisions while in front of the shelves in the shop.
For these reasons, in-store lighting is crucial in making up the margins. Customers will spend more time in the shop and are more likely to use its additional services if it is a friendly and warm environment. And they can also be guided towards higher margin products by directed or feature lighting.
Finally, the other method to increase revenue is to reduce operational costs. It’s estimated that 30 percent of utility costs in petrol stations is spent on lighting. Fuel companies can immediately reduce this energy cost by between 50 and 70 percent with the help of LEDs versus core technology. Imagine if only 10 percent of your utility costs was spent on lighting. Using LEDs can also help brand reputation with the reduction of CO2 emissions, further helping increase sales.
Misplaced calculated molecules =
'''
C39H38Cl2MnN8O4S | ωB97M-V with the def2-TZVPD basis set

Summary:
Total energy, hartree: -4717.2101
Net charge: +2
HOMO-LUMO gap (alpha / beta), eV: 7.5 / 5.9
HOMO level (alpha / beta), eV: -13.24 / -13.76
M, g mol⁻¹: 840.7
ΔE to the lowest compared entry with this formula, charge and spin, eV: 0.000
LUMO level (alpha / beta), eV: -5.74 / -7.84
Multiplicity: 4

Each line ends with the Löwdin charge.
Geometry (Å):
Mn: 0.064 0.054 0.408  0.592
Cl: -4.683 -3.874 -2.335  0.783
C: -3.380 -2.796 -2.115  -0.649
C: -3.077 -2.370 -0.841  -0.035
C: -1.997 -1.498 -0.659  -0.189
N: -1.546 -0.966 0.516  0.021
C: -1.957 -1.357 1.776  -0.414
O: -2.810 -2.172 2.035  0.129
C: -1.183 -0.638 2.848  -0.171
C: -1.513 -0.799 4.177  0.048
C: -0.773 -0.116 5.132  0.005
C: 0.261 0.706 4.717  -0.005
C: 0.530 0.815 3.363  -0.084
N: -0.171 0.154 2.442  -0.001
C: -1.241 -1.048 -1.799  -0.187
C: -1.584 -1.475 -3.094  -0.016
C: -2.627 -2.350 -3.245  -0.650
Cl: -3.026 -2.909 -4.811  0.775
N: -0.203 -0.252 -1.458  0.037
C: 0.519 0.550 -2.339  -0.400
O: 0.267 0.746 -3.498  0.155
C: 1.674 1.196 -1.624  -0.163
C: 2.613 1.935 -2.312  0.056
C: 3.688 2.459 -1.605  0.015
C: 3.797 2.192 -0.250  0.003
C: 2.812 1.442 0.369  -0.095
N: 1.755 0.974 -0.297  -0.004
H: -3.663 -2.707 -0.002  0.114
H: -2.336 -1.451 4.433  0.138
H: -1.002 -0.223 6.184  0.130
H: 0.860 1.260 5.426  0.125
H: 1.330 1.452 3.009  0.107
H: -1.021 -1.135 -3.950  0.117
H: 2.486 2.082 -3.375  0.141
H: 4.436 3.056 -2.109  0.132
H: 4.631 2.560 0.329  0.128
H: 2.869 1.203 1.423  0.115
C: 1.145 -5.977 1.425  -0.086
C: -0.266 -5.830 0.873  -0.216
C: -0.627 -4.386 0.554  -0.177
N: 0.198 -3.887 -0.555  0.084
C: 1.077 -2.918 -0.528  -0.666
S: 1.338 -1.917 0.872  0.819
N: 1.833 -2.634 -1.614  0.125
C: 1.583 -2.914 -3.005  -0.365
O: 1.717 -1.996 -3.767  0.152
C: 1.203 -4.288 -3.383  -0.177
C: 1.745 -5.397 -2.729  -0.043
C: 1.406 -6.672 -3.150  -0.047
C: 0.521 -6.837 -4.209  -0.038
C: -0.012 -5.734 -4.865  -0.039
C: 0.338 -4.456 -4.464  -0.012
H: 1.360 -7.015 1.673  0.083
H: 1.276 -5.383 2.331  0.081
H: 1.898 -5.653 0.702  0.062
H: -0.998 -6.198 1.595  0.122
H: -0.393 -6.442 -0.025  0.113
H: -0.454 -3.741 1.412  0.083
H: -1.672 -4.291 0.257  0.114
H: 0.163 -4.451 -1.399  0.131
H: 2.400 -1.804 -1.500  0.125
H: 2.452 -5.260 -1.918  0.123
H: 1.839 -7.535 -2.664  0.118
H: 0.255 -7.835 -4.533  0.120
H: -0.690 -5.873 -5.696  0.119
H: -0.047 -3.585 -4.977  0.108
C: 1.853 7.214 2.617  -0.063
C: 0.800 7.527 1.565  -0.176
N: -0.183 6.450 1.370  -0.044
C: -1.484 6.583 2.025  -0.194
C: -1.416 6.412 3.536  -0.061
C: 0.229 5.369 0.691  -0.426
O: 1.370 5.214 0.271  0.068
C: -0.738 4.248 0.380  -0.082
C: -1.913 4.387 -0.346  0.028
C: -2.591 3.246 -0.750  0.006
C: -2.060 2.007 -0.454  -0.069
N: -0.909 1.865 0.219  0.009
C: -0.284 2.969 0.638  -0.041
H: 2.570 8.033 2.668  0.085
H: 2.397 6.308 2.353  0.069
H: 1.414 7.092 3.606  0.064
H: 1.279 7.712 0.604  0.126
H: 0.235 8.420 1.834  0.126
H: -2.171 5.854 1.606  0.097
H: -1.880 7.569 1.776  0.129
'''
So, if you want to have the most complete offer, not only in fuel then lighting and LED technology can give your business added value.